• Listing:
~~~
1.
{
  "formula": "C51H56CdCl2N2P2Si",
  "method": "ωB97M-V/def2-TZVPD",
  "species": ["Cd", "C", "N", "C", "P", "C", "C", "C", "C", "C", "C", "C", "C", "C", "C", "C", "C", "C", "C", "C", "C", "C", "C", "P", "C", "C", "C", "C", "C", "C", "C", "C", "C", "C", "C", "C", "H", "H", "H", "H", "H", "H", "H", "H", "H", "H", "H", "H", "H", "H", "H", "H", "H", "H", "H", "H", "H", "H", "H", "H", "H", "H", "H", "H", "H", "Cl", "C", "Cl", "H", "H", "C", "C", "C", "C", "C", "C", "H", "H", "H", "H", "H", "C", "Si", "C", "C", "C", "H", "H", "H", "H", "H", "H", "H", "H", "H", "H", "H", "C", "C", "C", "C", "C", "C", "C", "C", "N", "H", "H", "H", "H", "H", "H", "H", "H", "H"],
  "xyz": [[-1.8292, -0.5286, -0.2820], [1.4766, 3.3834, 0.1953], [2.3724, 2.3647, -0.2811], [2.4173, 1.1248, 0.5342], [1.2553, -0.7059, 0.1860], [2.4449, -1.1281, -1.1681], [2.4961, -0.3102, -2.2966], [3.2602, -0.6507, -3.4050], [4.0291, -1.8058, -3.3928], [4.0156, -2.6176, -2.2649], [3.2186, -2.2873, -1.1758], [2.0039, -1.2483, 1.7941], [3.3709, -1.3198, 2.0573], [3.8466, -1.7214, 3.3019], [2.9629, -2.0511, 4.3187], [1.5955, -1.9991, 4.0696], [1.1291, -1.6163, 2.8215], [3.5317, 2.8186, -0.9046], [4.4670, 1.9005, -1.4289], [5.6081, 2.3223, -2.0823], [5.8936, 3.6748, -2.2474], [5.0055, 4.5918, -1.7122], [3.8551, 4.1833, -1.0458], [-0.3092, 2.9061, 0.5035], [-1.2115, 3.9711, -0.7063], [-0.8132, 5.2439, -1.1127], [-1.5439, 5.9546, -2.0539], [-2.7019, 5.4072, -2.5957], [-3.1258, 4.1561, -2.1792], [-2.3817, 3.4447, -1.2441], [-0.5374, 3.9091, 2.0394], [-1.5227, 4.8804, 2.1941], [-1.7291, 5.5009, 3.4222], [-0.9648, 5.1497, 4.5220], [0.0138, 4.1732, 4.3862], [0.2195, 3.5589, 3.1604], [1.4452, 4.1853, -0.5332], [1.8431, 3.8105, 1.1408], [2.1283, 1.4034, 1.5631], [3.4645, 0.8408, 0.6024], [1.9215, 0.6049, -2.3065], [3.2508, -0.0110, -4.2802], [4.6219, -2.0802, -4.2575], [4.6114, -3.5233, -2.2386], [3.1804, -2.9487, -0.3221], [4.0819, -1.0715, 1.2793], [4.9160, -1.7741, 3.4755], [3.3337, -2.3627, 5.2885], [0.8890, -2.2737, 4.8448], [0.0624, -1.6295, 2.6278], [4.2733, 0.8438, -1.3460], [6.2828, 1.5736, -2.4825], [6.7873, 3.9986, -2.7664], [5.2074, 5.6540, -1.7968], [3.2317, 4.9480, -0.6073], [0.0625, 5.7113, -0.6771], [-1.2075, 6.9367, -2.3645], [-3.2646, 5.9534, -3.3434], [-4.0265, 3.7174, -2.5897], [-2.7061, 2.4529, -0.9474], [-2.1382, 5.1586, 1.3483], [-2.4956, 6.2610, 3.5156], [-1.1293, 5.6302, 5.4788], [0.6128, 3.8800, 5.2399], [0.9754, 2.7846, 3.0732], [-1.6659, 0.3996, 2.7065], [-3.2242, 1.2191, 2.8778], [-3.9475, 1.7305, 1.3447], [-3.0564, 2.1151, 3.4618], [-3.9060, 0.5268, 3.3551], [-1.0526, 0.5077, -5.1579], [-2.0624, -0.3638, -4.7676], [-2.3093, -0.5955, -3.4167], [-1.5693, 0.0249, -2.4057], [-0.5601, 0.8935, -2.8358], [-0.2970, 1.1422, -4.1797], [-0.8522, 0.6831, -6.2092], [-2.6590, -0.8706, -5.5194], [-3.1050, -1.2827, -3.1483], [0.0603, 1.3944, -2.0976], [0.5049, 1.8179, -4.4627], [-0.6182, -5.0823, 1.4634], [0.8377, -4.3956, 0.4984], [2.3485, -4.7045, 1.5983], [1.1001, -5.4218, -1.0635], [0.4324, -2.6481, 0.0157], [-0.5492, -6.1606, 1.6447], [-1.5532, -4.8735, 0.9337], [-0.6868, -4.5762, 2.4321], [2.5631, -5.7786, 1.6306], [2.1581, -4.3634, 2.6199], [3.2554, -4.1977, 1.2605], [1.5686, -6.3918, -0.8639], [1.7322, -4.8718, -1.7682], [0.1371, -5.5976, -1.5528], [-0.5364, -2.5119, 0.5181], [0.2051, -2.6696, -1.0606], [-5.2213, -1.7044, 2.6580], [-5.1903, -2.6753, 1.5140], [-6.2136, -3.5845, 1.3442], [-6.2211, -4.5195, 0.3030], [-5.1205, -4.5114, -0.5556], [-4.0659, -3.6234, -0.4339], [-2.9156, -3.7475, -1.4019], [-4.0434, -2.5937, 0.6068], [-3.1081, -1.6942, 0.8215], [-5.9471, -2.0151, 3.4181], [-5.4821, -0.6922, 2.3226], [-4.2209, -1.6392, 3.1004], [-7.0399, -3.5741, 2.0560], [-7.0337, -5.2263, 0.1783], [-5.0779, -5.2453, -1.3614], [-2.4434, -4.7351, -1.3391], [-2.1485, -3.0070, -1.1870], [-3.2341, -3.6130, -2.4416]],
  "homo_ev": 0.02,
  "charge": -2
}

***

2.
{
  "formula": "C51H58B2Br2Cl2F10NO39",
  "method": "ωB97M-V/def2-TZVPD",
~~~

• Work order:
Could you return only the lines further up with the word "method" in them?

• Result:
  "method": "ωB97M-V/def2-TZVPD",
  "method": "ωB97M-V/def2-TZVPD",